~~~
[1]
For CaHf8N8O4, DFT lattice parameters and positions (PBE) gives the calculated powder diffraction line list in this record (Cu Kα, 1.54184 Å).
No peak broadening, texture or thermal motion is included.

Most intense lines, 2θ = 10–90°, by intensity:
2.803 Å, rel. 100; 2.790 Å, rel. 57; 2.724 Å, rel. 50; 2.818 Å, rel. 43; 2.747 Å, rel. 39; 1.934 Å, rel. 37; 4.282 Å, rel. 25; 1.584 Å, rel. 20

Structure:
Unit cell a=5.4486 b=5.5877 c=10.2900 alpha=92.17 beta=90.26 gamma=118.90
Sites, in units of the cell vectors:
Ca 0.0000 0.0000 0.0000
Hf 0.2831 0.6081 0.4153
Hf 0.3022 0.6494 0.8266
Hf 0.3516 0.6860 0.1256
Hf 0.6267 0.2979 0.8594
Hf 0.6505 0.3323 0.5653
Hf 0.6520 0.3157 0.1542
Hf 0.9353 0.9916 0.3232
Hf 0.9898 0.9886 0.6317
N 0.0170 0.3946 0.2525
N 0.2530 0.2646 0.4910
N 0.3141 0.9998 0.7334
N 0.4102 0.4399 0.9809
N 0.5528 0.9958 0.9802
N 0.5916 0.6110 0.2606
N 0.9418 0.3242 0.7252
N 0.9523 0.6778 0.4867
O 0.2334 0.9954 0.1988
O 0.6266 0.6304 0.7215
O 0.6477 0.9917 0.4783
O 0.9840 0.5755 0.9833


[2]
For Pr2PI, DFT lattice parameters and positions (PBE) gives the calculated powder diffraction line list in this record (Cu Kα, 1.54184 Å).
No peak broadening, texture or thermal motion is included.

Most intense lines, 2θ = 10–90°, by intensity:
2.883 Å, rel. 100; 3.099 Å, rel. 65; 2.103 Å, rel. 50; 3.600 Å, rel. 34; 1.640 Å, rel. 28; 1.699 Å, rel. 21; 2.619 Å, rel. 19; 1.322 Å, rel. 18

Structure:
Unit cell a=8.2249 b=8.2249 c=8.2249 alpha=29.63 beta=29.63 gamma=29.63
Sites, in units of the cell vectors:
Pr 0.0000 0.0000 0.0000
Pr 0.2041 0.2041 0.2041
P 0.6009 0.6009 0.6009
I 0.7694 0.7694 0.7694


[3]
For HfZr2Bi, DFT lattice parameters and positions (PBE) gives the calculated powder diffraction line list in this record (Cu Kα, 1.54184 Å).
No peak broadening, texture or thermal motion is included.

Most intense lines, 2θ = 10–90°, by intensity:
2.512 Å, rel. 100; 2.372 Å, rel. 72; 2.794 Å, rel. 54; 3.856 Å, rel. 50; 2.703 Å, rel. 48; 2.276 Å, rel. 39; 1.418 Å, rel. 38; 2.751 Å, rel. 34

Structure:
Unit cell a=8.6205 b=8.6205 c=8.6205 alpha=96.61 beta=96.61 gamma=140.35
Sites, in units of the cell vectors:
Hf 0.1917 0.2901 0.5262
Hf 0.3345 0.8083 0.0984
Hf 0.7099 0.2361 0.9016
Hf 0.7639 0.6655 0.4738
Zr 0.0312 0.5553 0.6863
Zr 0.0777 0.2477 0.8753
Zr 0.3724 0.2024 0.1247
Zr 0.4447 0.1310 0.4758
Zr 0.6551 0.9688 0.5242
Zr 0.7523 0.6276 0.8300
Zr 0.7976 0.9223 0.1700
Zr 0.8690 0.3449 0.3137
Bi 0.2453 0.0648 0.7572
Bi 0.3075 0.4881 0.2428
Bi 0.5119 0.7547 0.8194
Bi 0.9352 0.6925 0.1806


[4]
For Tm2Pb2S, DFT lattice parameters and positions (PBE) gives the calculated powder diffraction line list in this record (Cu Kα, 1.54184 Å).
No peak broadening, texture or thermal motion is included.

Most intense lines, 2θ = 10–90°, by intensity:
2.663 Å, rel. 100; 3.168 Å, rel. 99; 2.218 Å, rel. 88; 2.980 Å, rel. 78; 1.837 Å, rel. 69; 2.836 Å, rel. 57; 2.883 Å, rel. 43; 1.543 Å, rel. 37

Structure:
Unit cell a=3.6743 b=3.6743 c=11.5346 alpha=99.05 beta=99.05 gamma=60.02
Sites, in units of the cell vectors:
Tm 0.2141 0.2141 0.1441
Tm 0.7859 0.7859 0.8559
Pb 0.0505 0.0505 0.6374
Pb 0.9495 0.9495 0.3626
S 0.5000 0.5000 0.0000

=====

1.
This entry pairs a crystal structure of Ba2HgHRh with its computed X-ray diffraction stick pattern. Radiation: CuKα. Structure: a PBE-relaxed structure.

```
10
Lattice="7.0301 0.0000 0.0000 0.0000 4.5366 0.0000 -2.8062 0.0000 8.9386" Properties=species:S:1:pos:R:3 pbc="T T T"
Ba 0.4650 1.1341 3.5600
Ba -0.9918 1.1341 8.6335
Ba 5.2158 3.4024 0.3051
Ba 3.7589 3.4024 5.3786
Hg 0.3537 3.4024 6.2941
Hg 3.8703 1.1341 2.6445
H 0.7558 3.4024 1.3358
H 3.4681 1.1341 7.6028
Rh 2.2815 3.4024 2.0581
Rh 1.9424 1.1341 6.8805
```

Main lines, by intensity (10° ≤ 2θ ≤ 90°):
| d_spacing | I_rel |
| --- | --- |
| 3.182 | 100 |
| 2.663 | 88 |
| 2.603 | 78 |
| 3.148 | 64 |
| 6.707 | 55 |
| 2.268 | 46 |
| 2.697 | 45 |
| 3.354 | 39 |
| 2.341 | 38 |
| 1.795 | 27 |


2.
~~~

It remains to work out how many lines earlier on have the word "Cu" in them; a number is enough.

4